# File
Entry 1:
The following is a calculated PXRD pattern of Li2Cr2O7. It was derived from a GGA+U-relaxed structure, using a wavelength of 1.5418 Å.
Peak positions follow from Bragg's law for the DFT cell and can differ from measured ones.

Crystal structure
```
data_Li2Cr2O7
_chemical_formula_sum 'Li8 Cr8 O28'
_cell_length_a 6.108
_cell_length_b 7.322
_cell_length_c 13.941
_cell_angle_alpha 90.00
_cell_angle_beta 107.16
_cell_angle_gamma 90.00
_space_group_name_H-M_alt 'P 1 21/c 1'
_space_group_IT_number 14
_space_group_name_Hall '-P 2ybc'
loop_
_atom_site_label
_atom_site_type_symbol
_atom_site_fract_x
_atom_site_fract_y
_atom_site_fract_z
_atom_site_occupancy
Li1 Li 0.236 0.126 0.167 1
Li2 Li 0.238 0.142 0.909 1
Cr1 Cr 0.272 0.647 0.098 1
Cr2 Cr 0.304 0.729 0.883 1
O1 O 0.067 0.701 0.581 1
O2 O 0.102 0.613 0.364 1
O3 O 0.229 0.024 0.663 1
O4 O 0.268 0.573 0.974 1
O5 O 0.279 0.615 0.781 1
O6 O 0.444 0.167 0.078 1
O7 O 0.472 0.239 0.352 1
```

Principal peaks in the range 2θ from 15° to 90°, by angle:
2θ 15.18, I 8
2θ 19.45, I 100
2θ 24.31, I 14
2θ 24.54, I 9
2θ 26.77, I 33
2θ 28.51, I 15
2θ 29.33, I 33
2θ 30.62, I 27
2θ 31.68, I 8
2θ 35.56, I 10
2θ 36.50, I 16
2θ 48.41, I 6

=====

Entry 2:
The following is a calculated PXRD pattern of Li6Cr2O7. It was derived from a GGA+U-relaxed structure, using a wavelength of 1.5418 Å.
Peak positions follow from Bragg's law for the DFT cell and can differ from measured ones.

Crystal structure
```
data_Li6Cr2O7
_chemical_formula_sum 'Li24 Cr8 O28'
_cell_length_a 9.988
_cell_length_b 5.703
_cell_length_c 9.635
_cell_angle_alpha 90.00
_cell_angle_beta 100.82
_cell_angle_gamma 90.00
_space_group_name_H-M_alt 'C 1 2/c 1'
_space_group_IT_number 15
_space_group_name_Hall '-C 2yc'
loop_
_atom_site_label
_atom_site_type_symbol
_atom_site_fract_x
_atom_site_fract_y
_atom_site_fract_z
_atom_site_occupancy
Li1 Li 0.067 0.145 0.100 1
Li2 Li 0.071 0.401 0.615 1
Li3 Li 0.205 0.127 0.884 1
Cr1 Cr 0.184 0.377 0.369 1
O1 O 0.000 0.348 0.250 1
O2 O 0.123 0.387 0.971 1
O3 O 0.137 0.135 0.502 1
O4 O 0.246 0.119 0.251 1
```

Principal peaks in the range 2θ from 15° to 90°, by angle:
2θ 18.05, I 100
2θ 19.50, I 85
2θ 23.55, I 16
2θ 24.82, I 47
2θ 27.33, I 20
2θ 28.56, I 26
2θ 31.54, I 12
2θ 44.45, I 82
2θ 44.70, I 41
2θ 53.53, I 11
2θ 64.87, I 40
2θ 65.46, I 11

=====

Entry 3:
The following is a calculated PXRD pattern of Li3Cr4O8. It was derived from a GGA+U-relaxed structure, using a wavelength of 1.5418 Å.
Peak positions follow from Bragg's law for the DFT cell and can differ from measured ones.

Crystal structure
```
data_Li3Cr4O8
_chemical_formula_sum 'Li12 Cr16 O32'
_cell_length_a 10.190
_cell_length_b 5.920
_cell_length_c 10.376
_cell_angle_alpha 90.00
_cell_angle_beta 109.16
_cell_angle_gamma 90.00
_space_group_name_H-M_alt 'C 1 2/m 1'
_space_group_IT_number 12
_space_group_name_Hall '-C 2y'
loop_
_atom_site_label
_atom_site_type_symbol
_atom_site_fract_x
_atom_site_fract_y
_atom_site_fract_z
_atom_site_occupancy
Li1 Li 0.001 0.249 0.250 1
Li2 Li 0.249 0.500 0.250 1
Cr1 Cr 0.000 0.000 0.000 1
Cr2 Cr 0.000 0.000 0.500 1
Cr3 Cr 0.000 0.500 0.000 1
Cr4 Cr 0.000 0.500 0.500 1
Cr5 Cr 0.250 0.250 0.000 1
Cr6 Cr 0.250 0.250 0.500 1
O1 O 0.115 0.238 0.608 1
O2 O 0.115 0.260 0.108 1
O3 O 0.123 0.500 0.893 1
O4 O 0.125 0.000 0.393 1
O5 O 0.129 0.500 0.388 1
O6 O 0.130 0.000 0.888 1
```

Principal peaks in the range 2θ from 15° to 90°, by angle:
2θ 18.10, I 100
2θ 35.61, I 24
2θ 35.76, I 12
2θ 37.19, I 6
2θ 43.08, I 46
2θ 43.19, I 23
2θ 47.06, I 7
2θ 56.73, I 14
2θ 62.17, I 12
2θ 62.78, I 6
2θ 63.11, I 12
2θ 66.25, I 9

=====

What did the second record say?
The following is a calculated PXRD pattern of Li6Cr2O7. It was derived from a GGA+U-relaxed structure, using a wavelength of 1.5418 Å.
Peak positions follow from Bragg's law for the DFT cell and can differ from measured ones.

Crystal structure
```
data_Li6Cr2O7
_chemical_formula_sum 'Li24 Cr8 O28'
_cell_length_a 9.988
_cell_length_b 5.703
_cell_length_c 9.635
# Work order
Please copy the data further up with every line break kept.
# Solution
Entry 1:
The following is a calculated PXRD pattern of Li2Cr2O7. It was derived from a GGA+U-relaxed structure, using a wavelength of 1.5418 Å.
Peak positions follow from Bragg's law for the DFT cell and can differ from measured ones.

Crystal structure
```
data_Li2Cr2O7
_chemical_formula_sum 'Li8 Cr8 O28'
_cell_length_a 6.108
_cell_length_b 7.322
_cell_length_c 13.941
_cell_angle_alpha 90.00
_cell_angle_beta 107.16
_cell_angle_gamma 90.00
_space_group_name_H-M_alt 'P 1 21/c 1'
_space_group_IT_number 14
_space_group_name_Hall '-P 2ybc'
loop_
_atom_site_label
_atom_site_type_symbol
_atom_site_fract_x
_atom_site_fract_y
_atom_site_fract_z
_atom_site_occupancy
Li1 Li 0.236 0.126 0.167 1
Li2 Li 0.238 0.142 0.909 1
Cr1 Cr 0.272 0.647 0.098 1
Cr2 Cr 0.304 0.729 0.883 1
O1 O 0.067 0.701 0.581 1
O2 O 0.102 0.613 0.364 1
O3 O 0.229 0.024 0.663 1
O4 O 0.268 0.573 0.974 1
O5 O 0.279 0.615 0.781 1
O6 O 0.444 0.167 0.078 1
O7 O 0.472 0.239 0.352 1
```

Principal peaks in the range 2θ from 15° to 90°, by angle:
2θ 15.18, I 8
2θ 19.45, I 100
2θ 24.31, I 14
2θ 24.54, I 9
2θ 26.77, I 33
2θ 28.51, I 15
2θ 29.33, I 33
2θ 30.62, I 27
2θ 31.68, I 8
2θ 35.56, I 10
2θ 36.50, I 16
2θ 48.41, I 6

=====

Entry 2:
The following is a calculated PXRD pattern of Li6Cr2O7. It was derived from a GGA+U-relaxed structure, using a wavelength of 1.5418 Å.
Peak positions follow from Bragg's law for the DFT cell and can differ from measured ones.

Crystal structure
```
data_Li6Cr2O7
_chemical_formula_sum 'Li24 Cr8 O28'
_cell_length_a 9.988
_cell_length_b 5.703
_cell_length_c 9.635
_cell_angle_alpha 90.00
_cell_angle_beta 100.82
_cell_angle_gamma 90.00
_space_group_name_H-M_alt 'C 1 2/c 1'
_space_group_IT_number 15
_space_group_name_Hall '-C 2yc'
loop_
_atom_site_label
_atom_site_type_symbol
_atom_site_fract_x
_atom_site_fract_y
_atom_site_fract_z
_atom_site_occupancy
Li1 Li 0.067 0.145 0.100 1
Li2 Li 0.071 0.401 0.615 1
Li3 Li 0.205 0.127 0.884 1
Cr1 Cr 0.184 0.377 0.369 1
O1 O 0.000 0.348 0.250 1
O2 O 0.123 0.387 0.971 1
O3 O 0.137 0.135 0.502 1
O4 O 0.246 0.119 0.251 1
```

Principal peaks in the range 2θ from 15° to 90°, by angle:
2θ 18.05, I 100
2θ 19.50, I 85
2θ 23.55, I 16
2θ 24.82, I 47
2θ 27.33, I 20
2θ 28.56, I 26
2θ 31.54, I 12
2θ 44.45, I 82
2θ 44.70, I 41
2θ 53.53, I 11
2θ 64.87, I 40
2θ 65.46, I 11

=====

Entry 3:
The following is a calculated PXRD pattern of Li3Cr4O8. It was derived from a GGA+U-relaxed structure, using a wavelength of 1.5418 Å.
Peak positions follow from Bragg's law for the DFT cell and can differ from measured ones.

Crystal structure
```
data_Li3Cr4O8
_chemical_formula_sum 'Li12 Cr16 O32'
_cell_length_a 10.190
_cell_length_b 5.920
_cell_length_c 10.376
_cell_angle_alpha 90.00
_cell_angle_beta 109.16
_cell_angle_gamma 90.00
_space_group_name_H-M_alt 'C 1 2/m 1'
_space_group_IT_number 12
_space_group_name_Hall '-C 2y'
loop_
_atom_site_label
_atom_site_type_symbol
_atom_site_fract_x
_atom_site_fract_y
_atom_site_fract_z
_atom_site_occupancy
Li1 Li 0.001 0.249 0.250 1
Li2 Li 0.249 0.500 0.250 1
Cr1 Cr 0.000 0.000 0.000 1
Cr2 Cr 0.000 0.000 0.500 1
Cr3 Cr 0.000 0.500 0.000 1
Cr4 Cr 0.000 0.500 0.500 1
Cr5 Cr 0.250 0.250 0.000 1
Cr6 Cr 0.250 0.250 0.500 1
O1 O 0.115 0.238 0.608 1
O2 O 0.115 0.260 0.108 1
O3 O 0.123 0.500 0.893 1
O4 O 0.125 0.000 0.393 1
O5 O 0.129 0.500 0.388 1
O6 O 0.130 0.000 0.888 1
```

Principal peaks in the range 2θ from 15° to 90°, by angle:
2θ 18.10, I 100
2θ 35.61, I 24
2θ 35.76, I 12
2θ 37.19, I 6
2θ 43.08, I 46
2θ 43.19, I 23
2θ 47.06, I 7
2θ 56.73, I 14
2θ 62.17, I 12
2θ 62.78, I 6
2θ 63.11, I 12
2θ 66.25, I 9

=====

What did the second record say?
The following is a calculated PXRD pattern of Li6Cr2O7. It was derived from a GGA+U-relaxed structure, using a wavelength of 1.5418 Å.
Peak positions follow from Bragg's law for the DFT cell and can differ from measured ones.

Crystal structure
```
data_Li6Cr2O7
_chemical_formula_sum 'Li24 Cr8 O28'
_cell_length_a 9.988
_cell_length_b 5.703
_cell_length_c 9.635